The Patriot Post® · Like Gold Tested in Fire

By Tony Perkins ·

When people wonder if events like the State Department’s ministerial work, the evidence is sitting right in front of them. This time last year, Pastor Andrew Brunson was locked away under house arrest in Turkey — his fate completely uncertain. In fact, one of the most enduring memories of last July’s gathering was his daughter, Jacqueline, making an emotional plea for his release. Twelve months later, it was Andrew speaking in front of the crowd — living proof that this administration’s commitment to religious freedom matters.

‘For me to be back with my wife and my children,“ Pastor Brunson said, still in awe, 'this is what I wanted.” 'It’s wonderful,“ he smiled, 'that I can be here in person and I’m free. And I’m very grateful for that.” So are the millions of people just like him, who take Andrew’s freedom as a sign that the United States will fight for them too. In his speech Thursday, Vice President Mike Pence credited God’s great kindness in bringing Pastor Brunson home, but I can personally attest from my involvement in Andrew’s release that the Vice President was right to say that it took a leader like Donald Trump to carry out the work.

'Pastor Brunson’s story of perseverance in the face of incredible hardship was an inspiration to people across our country and believers around the world,“ the vice president insisted. 'And we express our admiration to him from the bottom of our hearts [for] being an example of faith that is 'like gold tested in fire.’” As the world knows from watching the last three days, Pastor Brunson isn’t the only one with a powerful testimony. All week long, one survivor after another pulled at our hearts with agonizing stories that Secretary Mike Pompeo and Ambassador Sam Brownback are determined no one — on their watch — will repeat.

As the secretary told me on Washington Watch earlier in the week, ‘We don’t want this event to be a one-off where we all congratulate ourselves for having a good week here in Washington.“ This is about permanent, lasting change. Rep. Chris Smith (R-N.J.), who spent years as a lonely voice in the wilderness for these millions of hurting people, knows how important the moment is. 'This is a game-changer,” he told me. No one can listen to these victims, who suffered unimaginable horrors, and go home unaffected. 'They [will] go back,“ he predicted, 'energized as never before to promote this First Freedom.” And that matters, because, as so many leaders have reiterated throughout the week, 'If [they] do get this right, so many of the other aspects of [their] country in terms of due process of law, other human rights are usually not far behind. This is the one that… make[s] all the difference in the world.“

And based on what the vice president shared, it already is. Since the 2018 ministerial, the Genocide Recovery and Persecution Response Program — helping the people of Nadia Murad and so many others — has donated more than $340 million in aid to religious minorities persecuted by ISIS in the Iraqi region. Pence also shared that the State Department also has more than $5 million dollars in pledges for the International Freedom Fund that’s given 435 'rapid-response grants” to people undergoing intense persecution.

But there are also new developments — significant ones for the 106 countries represented in Washington this week. To cap off the last day of the ministerial, Secretary Pompeo announced a new International Religious Freedom Alliance that will help give America’s partners a way to circumvent the bad actors at the U.N. and confront major challenges and enemies of faith. As he explains it, the alliance will focus on 'new sanctions against foreign military officials supporting countries the U.S. considers to be instigators of religious persecution.“

Which, interestingly enough, set the stage for America to dole out some stiff punishments of its own. To prove how serious U.S. officials are on the issue, Pompeo rolled out brand new sanctions on some of Myanmar’s top military officials for their gross abuse of the Rohingya Muslims. Religious freedom activists have been begging for targeted sanctions against the individuals responsible for persecution like this, and it rarely happens. So for the Trump administration to make a point of holdings this general and his three senior officers accountable is proof of how seriously it takes this new effort.

********
{
  "formula": "Nb2GaCu",
  "functional": "PBE-GGA",
  "state": "relaxed",
  "lattice_angstrom": [[7.141, 0.000, 0.000], [0.000, 7.141, 0.000], [3.570, 3.570, 2.678]],
  "species": ["Nb", "Nb", "Nb", "Nb", "Cu", "Cu", "Ga", "Ga"],
  "fractional_positions": [[0.618, 0.125, 0.250], [0.132, 0.625, 0.250], [0.375, 0.382, 0.750], [0.875, 0.868, 0.750], [0.500, 0.500, 0.000], [0.250, 0.750, 0.500], [0.000, 0.000, 0.000], [0.750, 0.250, 0.500]],
  "final_energy_ev_per_atom": -6.57,
  "magmom_total_mub_per_fu": 0.0,
  "sg": "I-42d"
}

----------

CoP2O6 | the Open Quantum Materials Database | PBE with a Hubbard U | optimized geometry; crystal system = monoclinic; distance to the lowest polymorph of the same formula = 0.000 eV/f.u.
1.0
5.8198 -4.1222 0.0000
5.8198 4.1222 0.0000
-4.7132 0.0000 8.6770
Co P O
4 8 24
Direct
0.0000 0.5000 0.5000
0.0553 0.9447 0.7500
0.5000 0.0000 0.0000
0.9447 0.0553 0.2500
0.2492 0.7240 0.0229
0.2760 0.7508 0.4771
0.2987 0.3071 0.7997
0.3071 0.2987 0.2997
0.6929 0.7013 0.7003
0.7013 0.6929 0.2003
0.7240 0.2492 0.5229
0.7508 0.2760 0.9771
0.0758 0.8410 0.0890
0.1090 0.2883 0.3167
0.1590 0.9242 0.4110
0.1911 0.3413 0.6474
0.1997 0.7070 0.5834
0.2156 0.4898 0.9348
0.2883 0.1090 0.8167
0.2930 0.8003 0.9166
0.3118 0.5380 0.3409
0.3413 0.1911 0.1474
0.4620 0.6882 0.1591
0.4898 0.2156 0.4348
0.5102 0.7844 0.5652
0.5380 0.3118 0.8409
0.6587 0.8089 0.8526
0.6882 0.4620 0.6591
0.7070 0.1997 0.0834
0.7117 0.8910 0.1833
0.7844 0.5102 0.0652
0.8003 0.2930 0.4166
0.8089 0.6587 0.3526
0.8410 0.0758 0.5890
0.8910 0.7117 0.6833
0.9242 0.1590 0.9110

----------

[1]
DFT (PBE-GGA) results for Gd2Er after structural relaxation.

Calculated formation energy: 0.27 eV per formula unit
Energy: -10.8191 eV per atom
D(E_F): 4.945 states/eV/f.u.
ΔE to the lowest computed polymorph: 0.0 kJ/mol of formula units
Calculated volume: 192.79 Å³/cell

Unit cell a=4.131 b=4.131 c=11.298 alpha=90.00 beta=90.00 gamma=90.00
Space group I4/mmm (No. 139)
Symmetry-distinct sites (fractional):
Gd: 0.000 0.000 0.164 (multiplicity 4)
Er: 0.000 0.000 0.500 (multiplicity 2)

[2]
DFT (PBE-GGA) results for HfAlSi2 after structural relaxation.

Energy: -6.0643 eV per atom
D(E_F): 1.976 states/eV/f.u.
Calculated volume: 224.10 Å³/cell

Unit cell a=3.8119 b=3.8119 c=17.8087 alpha=90.00 beta=90.00 gamma=120.00
Space group R-3m (No. 166, hexagonal axes)
Symmetry-distinct sites (fractional):
Hf: 0.0000 0.0000 0.0000 (multiplicity 3)
Al: 0.0000 0.0000 0.5000 (multiplicity 3)
Si: 0.0000 0.0000 0.2454 (multiplicity 6)

----------

Record 1
{"formula": "Pa2CoSe", "functional": "GGA-PBE", "state": "relaxed", "lattice_angstrom": [[1.875, 1.083, 7.333], [-1.875, 1.083, 7.333], [0.000, -2.165, 7.333]], "species": ["Pa", "Pa", "Co", "Se"], "fractional_positions": [[0.000, 0.000, 0.000], [0.191, 0.191, 0.191], [0.593, 0.593, 0.593], [0.762, 0.762, 0.762]], "e_above_lowest_polymorph_mev_per_atom": 69, "magmom_total_mub_per_fu": 0.00, "raw_formation_energy_ev_per_atom": -0.650}

Record 2
********
• Here the article continues:

Also, in Iraq, where women like Nadia Murad, bravely crusade for the thousands of girls sold into sex slavery, the U.S. has just handed down equally stiff punishments for two Iraqi militia leaders and two former Iraqi governors for human rights abuses. In its statement, the U.S. Treasury Department pointed to a video that’s been circulated since 2018 of an Iraqi military officer cutting off the ear of a handcuffed detainee. That’s on top of crimes like extortion, robbery, kidnapping, and rape, and harassment.

The United States, Vice President Pence warned, will not stand by while violent regimes spread terror. 'We will hold them accountable.” And that, thanks to this week’s ministerial, is accelerating.

Originally published here.

In the Hate of the Moment

While the State Department was trying to stop religious hostility, one congresswoman was down the street trying to fuel it. In an eerie backdrop to the Trump administration’s ministerial, Rep. Ilhan Omar (D-Minn.) seemed determined to highlight the threat that exists right here at home — radical Democrats.

Records of crystals that have nothing to do with the piece:
(1)
# PBE Ca2UMnS6, optimized geometry
# - V (Å³/f.u.) = 221
# - ΔE_f (raw) (eV per atom) = -1.3147
data_Ca2UMnS6
_cell_length_a 6.7158
_cell_length_b 6.7158
_cell_length_c 16.9507
_cell_angle_alpha 90.00
_cell_angle_beta 90.00
_cell_angle_gamma 120.00
_symmetry_space_group_name_H-M 'R 3'
_symmetry_Int_Tables_number 146
_symmetry_space_group_name_Hall 'R 3'
loop_
_atom_site_label
_atom_site_type_symbol
_atom_site_fract_x
_atom_site_fract_y
_atom_site_fract_z
Ca1 Ca 0.0000 0.0000 0.0000
Ca2 Ca 0.0000 0.0000 0.4967
U1 U 0.0000 0.0000 0.7849
Mn1 Mn 0.0000 0.0000 0.2853
S1 S 0.0233 0.6020 0.0332
S2 S 0.0827 0.3473 0.8753

=====

(2)
# PBE LiY2Si, optimized geometry
# - V (Å³/f.u.) = 92
# - ΔE_f (raw) (eV per atom) = -0.1076
data_LiY2Si
_cell_length_a 3.362
_cell_length_b 3.362
_cell_length_c 8.151
_cell_angle_alpha 90.00
_cell_angle_beta 90.00
_cell_angle_gamma 90.00
_symmetry_space_group_name_H-M 'P 4 m m'
_symmetry_Int_Tables_number 99
_symmetry_space_group_name_Hall 'P 4 -2'
loop_
_atom_site_label
_atom_site_type_symbol
_atom_site_fract_x
_atom_site_fract_y
_atom_site_fract_z
Li1 Li 0.000 0.000 0.000
Y1 Y 0.000 0.000 0.387
Y2 Y 0.500 0.500 0.727
Si1 Si 0.500 0.500 0.140

----------

[1]
Crystalline La2CuPb at its relaxed geometry. Source: Alexandria via LeMat-Bulk, functional PBE.

total magnetization = 0.000 Bohr magnetons per cell
crystal system = tetragonal
space group = P4mm (99)
ΔE_f = -0.083 eV/atom

a b c (Å): 3.611 3.611 8.911
angles (deg): 90.00 90.00 90.00
Fractional positions:
La 0.000 0.000 0.000
La 0.500 0.500 0.344
Cu 0.500 0.500 0.801
Pb 0.000 0.000 0.617



[2]
Crystalline YNbGa2 at its relaxed geometry. Source: Alexandria via LeMat-Bulk, functional PBE.

total magnetization = 1.692 Bohr magnetons per cell
crystal system = cubic
space group = Fm-3m (225)
energy relative to the lowest polymorph listed for this composition = 3.04 kcal/mol of atoms
ΔE_f = -0.220 eV/atom

a b c (Å): 4.810 4.810 4.810
angles (deg): 60.00 60.00 60.00
Fractional positions:
Y 0.000 0.000 0.000
Nb 0.500 0.500 0.500
Ga 0.250 0.250 0.250
Ga 0.750 0.750 0.750



[3]
Crystalline Li3Zn2RuO6 at its relaxed geometry. Source: Alexandria via LeMat-Bulk, functional PBE.

total magnetization = 3.015 Bohr magnetons per cell
crystal system = monoclinic
space group = C2/m (12)
uncorrected formation energy = -17.741 eV/f.u.

a b c (Å): 5.252 5.252 5.200
angles (deg): 99.93 99.93 119.81
Fractional positions:
Li 0.000 0.000 0.000
Li 0.335 0.665 0.000
Li 0.665 0.335 0.000
Zn 0.167 0.833 0.500
Zn 0.833 0.167 0.500
Ru 0.500 0.500 0.500
O 0.110 0.422 0.264
O 0.264 0.264 0.729
O 0.422 0.110 0.264
O 0.578 0.890 0.736
O 0.736 0.736 0.271
O 0.890 0.578 0.736



[4]
Crystalline NaLi4Zn3F12 at its relaxed geometry. Source: Alexandria via LeMat-Bulk, functional PBE.

total magnetization = 1.180 Bohr magnetons per cell
crystal system = cubic
space group = Im-3 (204)
uncorrected formation energy = -49.205 eV/f.u.

a b c (Å): 6.545 6.545 6.545
angles (deg): 109.47 109.47 109.47

Omar, who hasn’t exactly been a friend to Israel, took her contempt to a new level this week when she introduced a new level of anti-Semitism into her congressional agenda. If she learned anything from her February scandal, when she demeaned the Jewish people and drew the ire of her own party, Omar hasn’t shown it. Instead, she’s doubled down on her obvious disdain for Israel with a resolution that would support the anti-Semitic Boycott, Divestment and Sanctions (BDS) movement.

If you’re unfamiliar, the BDS movement that Omar is promoting is an effort reminiscent of what took place in Nazi Germany leading up to WWII. In 1933, the German government launched Judenboykott, a boycott of Jewish stores and shops designed to not only to hurt the Jewish community economically but to stigmatize and delegitimize the Jewish people. The BDS movement — whether stated or not — has the same effect only it is an international effort targeting the state of Israel.

The BDS movement is being done in the name of the Palestinians, attempting to force Israel to give up their land in the eastern portion of the country, Judea, and Samaria. The sad irony is that while targeting Israel, the movement is hurting many Arabs and Palestinians who are working side by side with Jewish residents in these communities. I’ve been to places like Ariel, which have thriving industrial parks that employ hundreds of Palestinians. The reality is, in those communities, Israel’s thriving economy is fostering a managed and sustainable peace that so many on the outside have promised through third-party intervention.

The criticism has been so overwhelming that CBS News invited the Minnesota congresswoman on its morning show to explain. “Would you like to make it clear that you’re not anti-Semitic?” Gayle King asked. “Oh, certainly not,” Omar said, smiling. “Yes.” “Would you like to make that clear?” King asked again. “Yes,” Omar repeated, a little more frustrated this time. “Oftentimes there are things that you might say, might not hold weight for you, but to someone else, right, the way that we hear and consume information is very different than how the next person might,” she explained.

Of course, to the Jewish people here and abroad, it’s more than what Omar has said (and that’s more than enough). It’s what she’s doing that speaks the loudest. Vice President Mike Pence, like most conservatives and reasonable Democrats, isn’t fooled. He knows this is part of a much deeper hatred, which, if it isn’t stopped now, has the potential to unleash a frightening new chapter in America. “Anti-Semitism is on the rise,” he warned at the ministerial. “In France and Germany, things have gotten so bad that Jewish religious leaders have warned their followers not to wear kippahs in public for fear that they could be violently attacked. And attacks on Jews, even on aged Holocaust survivors, are growing at an alarming rate.”

Then, in a direct nod at Omar, said, “Regrettably, the world’s oldest hatred has even found a voice in the halls of our United States Congress. So let me say it clearly: Anti-Semitism is not just wrong; it’s evil. And anti-Semitism must be confronted and denounced wherever and whenever it arises, and it must be universally condemned.” That’s a scary thought to most Americans, who assumed the U.S.’s new envoy to combat anti-Semitism wouldn’t be needed here at home.

But, as Noam Marans explained at a panel I joined at the ministerial, “Hate is an equal opportunity offender. It sometimes begins with Jews, but it never ends with Jews.” That’s why the U.S. Congress — and Democratic party in particular — needs to stand up and make it clear: this kind of dangerous prejudice won’t be tolerated. Irene Weiss, a Holocaust survivor, who spent eight months in Auschwitz sleeping next to the crematorium, understands all too well where this leads. “Day and night columns of young mothers with children, and elderly men and women, took their last steps as they passed by our barrack. We watched them enter the gate that led to the gas chamber.”

She thought no one could have possibly known such evil existed. “If they knew, surely they would stop it.” It turns out, world leaders knew about Auschwitz and the other extermination camps. “But the killing continued.” Seventy-years later, she said soberly, “Humanity’s vulnerability to the same forces of hate exists today.” And we cannot say we did not know.

Originally published here.

The text is interrupted by data records =
'''
# 1
## Si2TcBr (GGA-PBE)

Data for a relaxed structure of Si2TcBr.

## Properties
calculated total energy: -5.60 eV per atom
E_form (uncorrected): 125 meV per atom
magnetization: 0.00 μB per formula unit
calculated volume: 207 Å³ per cell

Cell lengths 3.2466, 3.2466, 22.7176 Å; angles 90.00, 90.00, 120.00 degrees
Closest atoms and distances in Å follow each position.
Space group R-3m (No. 166, hexagonal axes)
Unique sites:
Si  0.0000  0.0000  0.2369 (multiplicity 6)  3 Tc 2.46
Tc  0.0000  0.0000  0.5000 (multiplicity 3)  6 Si 2.46
Br  0.0000  0.0000  0.0000 (multiplicity 3)  6 Si 2.88

=====

# 2
## SiTc2Br (GGA-PBE)

Data for a relaxed structure of SiTc2Br.

## Properties
calculated total energy: -6.72 eV per atom
E_form (uncorrected): 239 meV per atom
magnetization: 0.00 μB per formula unit
calculated volume: 69 Å³ per cell

Cell lengths 2.9918, 2.9918, 7.6909 Å; angles 90.00, 90.00, 90.00 degrees
Closest atoms and distances in Å follow each position.
Space group P4mm (No. 99)
Unique sites:
Si  0.0000  0.0000  0.0000 (multiplicity 1)  4 Tc 2.52
Tc  0.0000  0.0000  0.3952 (multiplicity 1)  8 Tc 2.69-2.99, 4 Br 2.78
Tc  0.5000  0.5000  0.1791 (multiplicity 1)  4 Si 2.52, 4 Tc 2.69
Br  0.5000  0.5000  0.6291 (multiplicity 1)  4 Tc 2.78, 4 Br 2.99

=====

# 3
## SiTc2Br (GGA-PBE)

Data for a relaxed structure of SiTc2Br.

## Properties
calculated total energy: -6.55 eV per atom
E_form (uncorrected): 410 meV per atom
magnetization: 0.00 μB per formula unit
calculated volume: 123 Å³ per cell

Cell lengths 10.1964, 3.0321, 4.1303 Å; angles 90.00, 105.07, 90.00 degrees
Closest atoms and distances in Å follow each position.
Space group Cm (No. 8)
Unique sites:
Si  0.0000  0.0000  0.0000 (multiplicity 2)  6 Tc 2.53-2.64
Tc  0.0405  0.5000  0.5394 (multiplicity 2)  1 Br 2.47, 4 Si 2.55-2.64
Tc  0.2942  0.0000  0.8713 (multiplicity 2)  2 Si 2.53, 4 Br 2.54-2.64
Br  0.2540  0.5000  0.3603 (multiplicity 2)  5 Tc 2.47-2.64

=====

# 4
## SiTcBr3 (GGA-PBE)

Data for a relaxed structure of SiTcBr3.

## Properties
calculated total energy: -3.44 eV per atom
E_form (uncorrected): 721 meV per atom
magnetization: 5.17 μB per formula unit
calculated volume: 147 Å³ per cell

Cell lengths 5.2741, 5.2741, 5.2741 Å; angles 90.00, 90.00, 90.00 degrees
Closest atoms and distances in Å follow each position.
Space group Pm-3m (No. 221)
Unique sites:
Si  0.0000  0.0000  0.0000 (multiplicity 1)  6 Br 2.64
Tc  0.5000  0.5000  0.5000 (multiplicity 1)  12 Br 3.73
Br  0.0000  0.0000  0.5000 (multiplicity 3)  2 Si 2.64

=====

# 5
## SiTc2Br (GGA-PBE)

Data for a relaxed structure of SiTc2Br.

## Properties
calculated total energy: -6.36 eV per atom
E_form (uncorrected): 594 meV per atom
magnetization: 0.00 μB per formula unit
calculated volume: 143 Å³ per cell

Cell lengths 2.9727, 4.7801, 10.0819 Å; angles 90.00, 90.00, 90.00 degrees
Closest atoms and distances in Å follow each position.
Space group Cmm2 (No. 35)
Unique sites:
'''

Remember Wen? Meet Planned Parenthood’s More Extreme Boss

Get used to the name Alexis McGill Johnson. The new interim president of Planned Parenthood is already making her media rounds, and one thing’s clear: she doesn’t suffer from the same anxieties as Leana Wen. She’s quite content making abortion a political issue — and a religious one.

The Christian Post met Johnson back in 2014 during a revealing interview about the intersection of faith and life. “We all recognize that abortion and terminating a pregnancy is a very complicated decision, but that issue needs to be left to a woman, her doctor, and her God — not a politician,” she insisted then. And as far as God is concerned, women have nothing to worry about, she argued. Planned Parenthood, she promised, has plenty of support from “female ministers” and other “members of faith.”

The Radiance Foundation’s Ryan Bomberger is equally troubled by Johnson’s criticism of the pro-life agenda. “I feel like it’s an assault on black women’s ability to make a decision,” she argued. But Johnson, Bomberger pushed back, as a multiracial woman, ought to know that her organization has aborted hundreds of thousands of future black women in its intentional targeting of minorities. But she claims that pro-lifers, who’ve done everything they can to expose the eugenics movement behind Planned Parenthood, are the “racist” ones.

Meanwhile, the editors at the Wall Street Journal are just as stunned. “Progressives are hurtling to the Left so fast that even liberals in good standing are casualties of the tornado. Witness the coup this week at Planned Parenthood, which is a tacit reminder that the group is less a health-care outfit than a political lobby.” Dr. Wen, they shake their head, was pushed out of the group because she wasn’t radical enough on abortion. But, they remind everyone, “Dr. Wen wasn’t moderate or timid about abortion.”

“The coup reveals the dishonesty of Planned Parenthood’s requests for public funding. The outfit demands taxpayer money in the name of health services for women but then sacks its doctor president because she wasn’t political enough. The group claims abortion is only part of its portfolio even as it acts like it is Planned Parenthood’s singular purpose.

Planned Parenthood ought to drop the pretense and rely on private funding like other lobbies. There is no shortage of rich liberals. Facebook’s Sheryl Sandberg told the Huffington Post last month that she was donating $1 million to Planned Parenthood’s advocacy arm, not her first large donation. American taxpayers who disagree with Planned Parenthood’s message should not have to underwrite a political shop that lobbies for abortion up to the last minute before birth.”

To that I say, Amen!

Originally published here.

This is a publication of the Family Research Council. Mr. Perkins is president of FRC.